Sunday, March 16, 2008

Chapters 6-10

Chapter 6
On pages 56 and 57, Jem decided to go and get his pants back. Why do you think he was so determined to get them back? If you were Jem, would you have gone to get them back? Why or why not?

Chapter 7
Jem and Scout found two figures carved out of soap in the tree. They realized the figures were of them. Who do you think carved the figures? How would the person know all the specific details about them?

Chapter 8
Miss Maudie's house caught on fire. How do you think this happened? Why did Atticus, Jem, and Scout have to leave their house? Why did Scout shudder when Atticus started a fire in the kitchen stove?

Chapter 9
On page 89 Scout said, "But I never figured out how Atticus knew I was listening, and it was not until many years later that I realized he wanted me to hear every word he said."
What do you think Scout meant by this?

Chapter 10
On page 93, the author wrote that "Jem gulped like a goldfish,..." to describe the dog.
What literacy device is this? Why did the author use it?


Anonymous said...

Chapter 8

Miss Maudie's house catching on fire was just a freak accident. No one knew that her house would be caught on fire. Also, since Maycomb county is such a tightly knit group, I doubt that someone from Maycomb would try and burn her house down, if someone even burned her house down. The Finches were forced to flee their home because the smoke from Miss Maudie's house were blowing all over thier house, threatening to set it on fire. Scout shuddered when Atticus set a fire in the kitchen stove becausehe was so scared from the previous fire that burned Miss Maudie's hgouse that he did not want his house set on fire.

Anonymous said...

Chapter 6

I think Jem was so determined to get his pants back because he did not want to get caught by Atticus and the rest of the neighborhood as being the one who was on the Radley property. I think Jem is growing up a bit and doesn't want to feel responsible for childish actions.

Anonymous said...

I think that jem was so determined to go get his pants back was so that Boo didnt find them on his fence and get really mad. also i think that he wanted to get them back becasue if Atticus saw the pants caught on the fence he would get really mad at Jem for bothering Boo. If i were jem i would go get them back becasue they are my pants and i want them back.
i think that the person who carved the figures was boo. and he got so many details becasue he watches them play in the yard when they arnt looking.

ONE9077 said...

Kate, I really like your insights into Jem's character. He is showing some growth, but he also remains a bit childish in that he doesn't want to own up to his mistakes.

Anonymous said...

I think Jem was so determined to get his pants back because he didn't want to be caught for sneaking onto the Radley's property. His father Atticus told him not to go near there again, but he went against his wishes. He did not want to get in trouble for breaking his father's rules. I think he is now taking responsibility for his actions and is becoming more mature. If I was Jem in this situation, I would do exactly as he did, even though it was dangerous to try to get his pants back, him and I wouldn't want to get in trouble.

Anonymous said...

Braden--I agree with your statement about Scout being scared that her house would catch on fire. It would be hard to watch your neighbor lose her house.

Anonymous said...

Kate--I agree that Jem did not want Atticus to find out that he lost his pants on the Radley fence. I think that Jem does not want to disappoint his father.

Anonymous said...

Data records, as found in the file:
- - -
Record 1
The following is a quantum chemistry calculation of a 11-piece molecular cluster, C44H74BBr4NO28S5 overall at a distorted geometry, from the Open Molecules 2025 dataset.

Element x y z (Å)
C1 2.66 0.43 1.15
C2 2.01 -0.87 0.71
C3 0.99 -1.31 1.75
C4 -0.29 -0.47 1.81
C5 -0.93 -0.49 0.43
C6 -0.05 0.05 -0.74
N1 1.34 -0.57 -0.61
O1 2.07 -0.41 -1.54
C7 0.07 1.58 -0.56
C8 -0.65 -0.38 -2.04
C9 3.04 -2.06 0.48
H1 3.38 0.21 1.92
H2 2.04 1.22 1.58
H3 3.31 0.88 0.40
H4 1.43 -1.38 2.75
H5 0.67 -2.34 1.61
H6 -0.17 0.55 2.19
H7 -0.93 -0.91 2.58
H8 -1.84 0.12 0.45
H9 -1.36 -1.48 0.29
H10 -0.92 2.03 -0.49
H11 0.50 1.97 -1.48
H12 0.55 1.94 0.35
H13 -0.51 -1.45 -2.19
H14 -0.20 0.16 -2.87
H15 -1.72 -0.17 -2.14
H16 3.52 -2.10 -0.50
H17 2.47 -2.99 0.57
H18 3.87 -2.19 1.17
O2 -4.39 1.33 1.14
C10 -4.55 1.56 2.30
O3 -4.43 0.76 3.32
B1 -5.10 1.26 4.51
O4 -5.57 2.60 4.10
C11 -5.14 2.89 2.88
O5 -5.26 3.90 2.28
O6 -6.21 0.38 4.90
C12 -5.89 -0.15 6.08
O7 -6.55 -0.87 6.75
C13 -4.56 0.46 6.58
O8 -4.15 1.28 5.63
O9 -4.05 0.18 7.61
Br1 5.61 0.49 -4.52
C14 6.51 -0.45 -2.99
C15 6.31 0.20 -1.62
Br2 7.22 1.98 -1.72
H19 7.59 -0.46 -3.09
H20 6.17 -1.48 -3.11
H21 6.84 -0.36 -0.86
H22 5.26 0.38 -1.38
Br3 7.44 3.80 3.20
C16 7.36 2.14 2.19
C17 6.14 1.30 2.64
Br4 6.18 -0.54 1.91
H23 8.28 1.57 2.28
H24 7.16 2.27 1.13
H25 5.15 1.67 2.37
H26 6.03 1.33 3.72
O10 -2.34 2.30 -2.58
S1 -3.20 3.25 -1.95
O11 -2.66 4.20 -1.03
O12 -3.87 4.17 -3.18
C18 -4.27 3.39 -4.31
C19 -4.74 4.31 -5.44
C20 -4.66 2.49 -1.20
H27 -5.12 2.78 -4.01
H28 -3.47 2.75 -4.67
H29 -5.13 3.90 -6.37
H30 -4.00 5.05 -5.74
H31 -5.54 4.90 -5.00
H32 -4.43 1.53 -0.73
H33 -5.43 2.16 -1.90
H34 -5.08 3.19 -0.49
O13 2.72 -0.74 7.72
S2 3.01 -1.06 6.36
O14 3.12 -2.44 6.03
O15 1.93 -0.36 5.34
C21 1.79 1.05 5.29
C22 0.41 1.47 5.81
C23 4.48 -0.23 5.69
H35 1.79 1.31 4.23
H36 2.56 1.75 5.63
H37 0.19 2.53 5.69
H38 0.40 1.43 6.91
H39 -0.36 0.90 5.30
H40 4.40 -0.08 4.61
H41 5.34 -0.85 5.94
H42 4.63 0.78 6.06
O16 3.70 -2.82 -5.14
S3 2.56 -3.41 -4.54
O17 2.23 -3.17 -3.15
O18 1.25 -3.07 -5.48
C24 -0.01 -3.54 -4.96
C25 -1.09 -2.48 -5.11
C26 2.57 -5.18 -4.85
H43 0.11 -3.67 -3.88
H44 -0.22 -4.56 -5.29
H45 -1.96 -2.66 -4.49
H46 -1.34 -2.37 -6.17
H47 -0.76 -1.48 -4.83
H48 3.53 -5.64 -4.62
H49 2.21 -5.35 -5.86
H50 1.78 -5.61 -4.22
O19 -0.33 -3.81 -0.72
S4 -0.39 -5.21 -1.02
O20 -1.35 -5.97 -0.28
O21 -0.66 -5.37 -2.63
C27 -1.26 -6.59 -3.12
C28 -2.76 -6.46 -3.16
C29 1.29 -5.93 -1.02
H51 -1.07 -7.56 -2.64
H52 -0.75 -6.79 -4.06
H53 -3.19 -6.21 -2.19
H54 -3.21 -7.41 -3.46
H55 -3.06 -5.67 -3.86
H56 1.78 -5.83 -0.05
H57 1.90 -5.39 -1.75
H58 1.18 -6.99 -1.24
O22 0.74 5.01 0.95
S5 0.65 4.50 2.28
O23 1.23 3.26 2.73
O24 1.01 5.68 3.32
C30 0.97 7.04 2.86
C31 0.89 7.82 4.15
C32 -1.09 4.23 2.60
H59 0.20 7.30 2.14
H60 1.84 7.37 2.28
H61 0.73 8.88 3.95
H62 1.87 7.89 4.63
H63 0.16 7.50 4.90
H64 -1.58 5.09 2.16
H65 -1.27 4.20 3.67
H66 -1.34 3.33 2.04
C33 -4.80 -2.37 2.38
C34 -4.46 -2.03 1.13
C35 -4.20 -3.05 0.05
O25 -3.92 -2.78 -1.10
C36 -4.09 -4.40 0.57
- - -

John--I agree that Jem did not want to make Atticus upset. Atticus has spoken to him before about leaving Boo alone. I also like your idea that Boo was the person who carved the figures out of soap. I think Boo is just as interested in Jem and Scout as they are in him.

Anonymous said...

Ellie--I like how you were able to make a connection with Jem. Would you have gone back to get the pants just so you wouldn't get in trouble, or would you have felt bad disobeying your father?